[Data]
=====
No. 1
The following is a DFT calculation (ωB97M-V/def2-TZVPD) of a cluster of 9 separate species, C5H27N2O9 in total.

```
43
Properties=species:S:1:pos:R:3:forces:R:3
O -0.5381 3.0006 0.8164 1.8 0.9 2.9
C -1.6905 2.9382 0.5583 -1.2 -0.8 -3.5
C -1.8988 2.5558 -0.9007 -1.3 1.2 -1.3
C -0.5487 2.3731 -1.6762 0.6 3.1 -1.8
C -0.1312 0.9170 -1.7809 -1.9 1.0 4.2
C 0.3919 0.4190 -2.9623 3.1 -1.1 -1.8
N 1.1863 -0.9142 -3.1068 -4.2 1.7 -1.1
N -0.4994 0.2118 -0.6507 3.9 -5.8 -11.6
H -2.6376 3.0997 1.0870 0.5 0.3 0.9
H -2.4556 1.6300 -0.9987 -0.4 -0.2 0.2
H -2.6395 3.3388 -1.3524 1.6 -1.2 0.4
H -0.6484 2.8032 -2.7263 -0.3 -1.0 0.9
H 0.2728 3.1997 -1.3706 -1.4 -2.5 0.1
H 0.6742 1.0367 -3.8556 -0.9 -0.3 1.2
H 0.6096 -1.5290 -3.6921 -0.1 0.0 -0.3
H 2.0573 -0.8851 -3.5787 1.6 0.6 -0.2
H 1.2262 -1.3906 -2.2607 1.0 -1.2 2.6
H -0.8447 0.5811 0.0887 -3.0 3.5 6.6
H -0.6308 -0.8872 -0.8632 0.7 2.2 1.8
H -2.7112 -2.6310 -1.7768 0.2 0.2 -0.2
H -3.7305 -2.4056 -0.7587 -0.6 0.2 0.5
O -2.9332 -1.9925 -1.0874 0.5 -0.3 -0.4
H 3.5666 -2.1086 -0.6080 -2.6 -1.0 -1.4
H 1.9570 -2.4583 -0.8636 0.0 0.0 1.5
O 2.8383 -2.4998 -1.2266 2.7 1.1 0.0
H 0.2362 -1.7737 2.8212 -0.3 0.3 -0.1
H -0.8744 -2.8588 2.8077 0.2 1.1 -0.8
O -0.5807 -2.0539 2.2973 -0.1 -1.6 0.3
H 0.9998 -0.0062 3.7477 0.5 -2.4 0.2
H 2.1327 -1.0199 3.6559 2.1 -0.3 -0.3
O 1.2182 -1.0137 3.8251 -2.2 2.5 0.2
H 3.8114 0.6350 0.5224 0.7 0.0 -0.2
H 2.5752 0.9572 1.3091 0.2 -1.1 -0.5
O 2.9658 0.2467 0.7294 -1.0 1.1 0.8
H -1.7921 -0.0977 2.2652 -1.0 -2.6 0.8
H -1.0975 1.0939 2.7359 1.2 1.8 3.8
O -1.4364 0.7075 2.0024 -1.7 0.1 -4.6
H -0.2076 -3.2472 -0.5090 1.4 1.7 -0.4
H -0.1496 -2.3655 0.7077 1.6 0.9 -1.7
O 0.2780 -2.3611 -0.3330 -3.5 -2.6 2.3
H 0.3224 1.0919 1.9076 -3.0 -3.2 -4.7
H 0.5196 2.2724 2.5064 0.2 2.2 0.6
O 0.8369 1.3905 2.5474 4.4 1.6 4.3
```
Positions in Å, forces in eV/Å.

Net charge ... +2
HOMO level (spin up / spin down) ... -16.46 / -16.44 eV
Multiplicity ... 2
Kohn-Sham gap (spin up / spin down) ... 9.36 / 5.67 eV
LUMO energy (spin up / spin down) ... -7.10 / -10.77 eV
Total energy ... -992.62046 hartree

---

No. 2
The following is a DFT calculation (ωB97M-V/def2-TZVPD) of a structure of composition C25H32N5O5ReSSi.

```
70
Properties=species:S:1:pos:R:3:forces:R:3
Re -0.7102 -0.7831 0.0307 0.4 -0.3 0.5
O -0.0030 -0.1158 -1.8147 0.1 -0.1 -0.2
C -0.3155 1.2423 -2.2415 -0.1 0.1 0.0
C -1.3783 1.7287 -1.2322 0.1 -0.1 0.0
O -1.8614 2.8147 -1.2419 -0.1 0.0 0.0
O -1.7115 0.7953 -0.3167 -0.2 0.2 -0.1
C -0.9151 1.2456 -3.6476 0.1 -0.1 0.0
C -1.1019 0.0888 -4.3971 0.0 0.1 0.0
C -1.6288 0.1581 -5.6814 0.0 0.0 0.0
C -1.9791 1.3812 -6.2229 0.0 0.0 0.0
C -1.7968 2.5376 -5.4771 0.0 0.0 0.0
C -1.2652 2.4738 -4.2018 0.0 0.0 0.0
C 0.9772 2.0510 -2.1546 0.0 0.0 0.0
C 0.9754 3.4079 -1.8501 0.0 0.0 0.0
C 2.1708 4.1131 -1.8177 0.0 0.0 0.0
C 3.3712 3.4750 -2.0877 0.0 0.0 0.0
C 3.3729 2.1228 -2.3979 0.0 0.0 0.0
C 2.1828 1.4146 -2.4335 0.0 0.0 0.0
H -0.1620 -0.7787 -2.5104 -0.1 0.0 0.0
H -0.8613 -0.9054 -4.0347 0.0 0.0 0.0
H -1.7625 -0.7516 -6.2506 0.0 0.0 0.0
H -2.3904 1.4354 -7.2214 0.0 0.0 0.0
H -2.0679 3.4990 -5.8915 0.0 0.0 0.0
H -1.1285 3.3817 -3.6320 0.0 0.0 0.0
H 0.0488 3.9180 -1.6316 0.0 0.0 0.0
H 2.1574 5.1691 -1.5827 0.0 0.0 0.0
H 4.3001 4.0285 -2.0644 0.0 0.0 0.0
H 4.3019 1.6154 -2.6200 0.0 0.0 0.0
H 2.2061 0.3623 -2.6827 0.0 0.0 0.0
C 1.3632 -3.5553 2.8442 0.1 0.0 0.0
Si -0.3382 -3.5756 2.1197 0.0 0.0 0.0
C -0.6344 -4.9465 0.9175 0.0 0.0 0.0
C -1.6688 -3.4361 3.4031 0.0 0.1 0.0
O -0.4522 -2.1275 1.2018 0.0 -0.2 0.3
H 1.5389 -4.4506 3.4435 0.0 0.0 0.0
H 1.5074 -2.6879 3.4918 0.0 0.0 0.0
H 2.1244 -3.5232 2.0631 0.0 0.0 0.0
H -0.5334 -5.9170 1.4070 0.0 0.0 0.0
H 0.0863 -4.9134 0.0981 0.0 0.0 0.0
H -1.6419 -4.8895 0.5010 0.0 0.0 0.0
H -1.7098 -4.3417 4.0115 0.0 0.0 0.0
H -2.6489 -3.3058 2.9406 0.0 0.0 0.0
H -1.4944 -2.6018 4.0877 0.0 0.0 0.0
O -1.9962 -1.9431 -0.9558 0.0 0.0 -0.1
N -1.3334 -2.5670 -1.9454 -0.3 0.2 -0.2
C -1.9887 -3.5358 -2.4745 0.1 -0.1 0.1
C -3.2770 -3.9576 -1.9923 0.0 0.1 -0.1
=====
[Work order]
Your job: find "Multiplicity ..." and "0.0488 3.9180" in the contents further above, and set down these two lines and those between.
[Response]
Multiplicity ... 2
Kohn-Sham gap (spin up / spin down) ... 9.36 / 5.67 eV
LUMO energy (spin up / spin down) ... -7.10 / -10.77 eV
Total energy ... -992.62046 hartree

---

No. 2
The following is a DFT calculation (ωB97M-V/def2-TZVPD) of a structure of composition C25H32N5O5ReSSi.

```
70
Properties=species:S:1:pos:R:3:forces:R:3
Re -0.7102 -0.7831 0.0307 0.4 -0.3 0.5
O -0.0030 -0.1158 -1.8147 0.1 -0.1 -0.2
C -0.3155 1.2423 -2.2415 -0.1 0.1 0.0
C -1.3783 1.7287 -1.2322 0.1 -0.1 0.0
O -1.8614 2.8147 -1.2419 -0.1 0.0 0.0
O -1.7115 0.7953 -0.3167 -0.2 0.2 -0.1
C -0.9151 1.2456 -3.6476 0.1 -0.1 0.0
C -1.1019 0.0888 -4.3971 0.0 0.1 0.0
C -1.6288 0.1581 -5.6814 0.0 0.0 0.0
C -1.9791 1.3812 -6.2229 0.0 0.0 0.0
C -1.7968 2.5376 -5.4771 0.0 0.0 0.0
C -1.2652 2.4738 -4.2018 0.0 0.0 0.0
C 0.9772 2.0510 -2.1546 0.0 0.0 0.0
C 0.9754 3.4079 -1.8501 0.0 0.0 0.0
C 2.1708 4.1131 -1.8177 0.0 0.0 0.0
C 3.3712 3.4750 -2.0877 0.0 0.0 0.0
C 3.3729 2.1228 -2.3979 0.0 0.0 0.0
C 2.1828 1.4146 -2.4335 0.0 0.0 0.0
H -0.1620 -0.7787 -2.5104 -0.1 0.0 0.0
H -0.8613 -0.9054 -4.0347 0.0 0.0 0.0
H -1.7625 -0.7516 -6.2506 0.0 0.0 0.0
H -2.3904 1.4354 -7.2214 0.0 0.0 0.0
H -2.0679 3.4990 -5.8915 0.0 0.0 0.0
H -1.1285 3.3817 -3.6320 0.0 0.0 0.0
H 0.0488 3.9180 -1.6316 0.0 0.0 0.0